## Exercise
Reproduce the part of the rows underneath that starts with the line with "3.1985 -0.3294" and stops after the one with "1.1751 0.21", please.
## Source
********
(1)
C6H17AsCuF6O6P | the ωB97M-V functional and the def2-TZVPD basis

Geometry as XYZ:
```
38
Properties=species:S:1:pos:R:3:mulliken_charge:R:1
Cu -3.0527 2.1329 -0.0858 0.71
O -5.7235 1.2076 2.3669 -1.00
H -5.7375 1.5084 3.2964 0.14
O -4.5336 1.2260 -3.3905 -1.01
H -4.2844 2.0574 -3.8388 0.17
As -2.2880 7.5548 -1.0592 1.99
F -3.7280 6.4879 -0.5620 -0.53
F -2.6535 7.3140 -2.8213 -0.50
F -0.8768 8.5815 -1.5485 -0.51
F -1.8911 7.7770 0.6758 -0.49
F -1.3490 6.0334 -1.1506 -0.49
F -3.3691 8.9671 -1.0360 -0.49
C -1.2162 -5.0623 0.7829 -1.05
C -1.2489 -3.5172 0.6141 -0.30
O -0.1353 -3.2710 -0.2173 -0.25
P 1.0768 -2.1542 0.0884 0.75
O 0.5901 -0.7977 0.3821 -0.63
O 2.0328 -2.8000 1.2759 -0.30
C 3.2132 -2.0815 1.5815 0.00
C 3.2639 -2.0048 3.0924 -1.31
O 2.0235 -2.3565 -1.1992 -0.30
C 2.2227 -1.3750 -2.1662 -0.20
C 3.1985 -0.3294 -1.7175 -1.05
H -1.2924 -5.4887 -0.2173 0.27
H -0.3673 -5.3630 1.3971 0.26
H -2.1195 -5.4281 1.2711 0.39
H -2.1364 -3.1854 0.0750 0.35
H -1.3311 -3.0987 1.6172 0.31
H 4.1389 -2.5517 1.2496 0.31
H 3.2999 -1.0738 1.1751 0.21
H 3.3285 -2.9812 3.5725 0.29
H 4.1762 -1.4563 3.3269 0.38
H 2.3259 -1.5058 3.3359 0.33
H 2.7087 -1.7580 -3.0636 0.28
H 1.2179 -1.0406 -2.4243 0.35
H 3.4477 0.4999 -2.3795 0.38
H 2.9489 0.2021 -0.7992 0.24
H 4.1202 -0.8690 -1.5000 0.28
```

Properties
ΔE to the lowest compared entry with this formula, charge and spin, kcal/mol: 68.8
Highest occupied orbital energy, eV: -1.478
E, a.u.: -5507.092432
LUMO, eV: 3.25
Charge: -2
Gap between HOMO and LUMO, eV: 4.7



(2)
C48H47BrN7O2Sn | the ωB97M-V functional and the def2-TZVPD basis

Geometry as XYZ:
```
106
Properties=species:S:1:pos:R:3:mulliken_charge:R:1
Sn 0.3553 0.1653 0.1704 0.03
C 3.8248 2.2225 -1.0909 -0.57
C 2.8116 3.1277 -1.7876 -0.83
C 1.3723 2.6147 -1.7064 -0.04
N 0.9285 2.3275 -0.3514 0.21
C 0.7463 3.3025 0.5048 1.03
C 0.7737 4.6751 0.1389 -1.04
C 0.8809 5.8225 0.9008 -0.39
C 1.0024 5.9818 2.2726 -0.64
C 0.8767 4.9579 3.2038 -0.65
C 0.5337 3.6337 3.0363 -0.77
C 0.2999 2.8601 1.8620 1.10
N -0.2571 1.6825 1.8642 -0.23
C -0.8675 1.1539 3.0719 -1.39
C 0.0748 0.2857 3.9028 -1.17
C 0.4490 -1.0213 3.2164 0.17
N 1.3176 -0.7523 2.0745 -0.21
C 2.3538 -1.4885 1.8403 0.91
C 2.5973 -2.7967 2.4402 0.23
C 3.8138 -3.3179 2.7633 -0.23
C 5.1159 -2.8269 2.5238 -1.13
C 5.4248 -1.8946 1.5769 -0.84
C 4.5781 -1.2013 0.6925 -0.36
C 3.1940 -1.0370 0.6944 0.24
N 2.5107 -0.3935 -0.2584 1.51
C 3.1051 -0.2494 -1.5727 -0.34
C 4.1078 0.9040 -1.8116 -0.78
H 3.4784 2.0019 -0.0772 0.00
H 4.7630 2.7723 -0.9817 0.53
H 3.0726 3.2238 -2.8475 0.55
H 2.8669 4.1283 -1.3553 0.44
H 1.2896 1.6864 -2.2728 -0.92
H 0.6918 3.3164 -2.2042 0.65
H 0.7507 4.8426 -0.9304 0.36
H 0.9147 6.7400 0.3194 0.33
H 1.1928 6.9794 2.6475 0.31
H 1.0276 5.2491 4.2396 0.31
H 0.4441 3.0717 3.9564 0.20
H -1.7112 0.5279 2.7600 0.32
H -1.2839 1.9658 3.6778 0.63
H -0.4151 0.0429 4.8498 0.38
H 0.9885 0.8409 4.1351 0.49
H -0.4621 -1.5363 2.8872 -0.15
H 0.9355 -1.6982 3.9228 0.32
H 1.6051 -4.6266 2.1458 0.73
H 3.7630 -4.2742 3.2796 0.46
H 5.9338 -3.3096 3.0454 0.30
H 6.4824 -1.6895 1.4353 0.32
H 5.0983 -0.6287 -0.0595 0.10
H 2.2759 -0.1463 -2.2808 -1.15
H 3.6128 -1.1862 -1.8430 0.72
H 4.1475 1.0773 -2.8943 0.26
H 5.1090 0.5727 -1.5337 0.51
C -3.7862 -0.0427 -0.6012 -0.90
O -2.7032 0.0518 -1.5076 0.49
C -2.9549 -0.0196 -2.8199 0.09
C -4.2075 -0.0855 -3.3942 -0.75
C -4.3231 -0.1429 -4.7855 -0.58
Br -6.0560 -0.2326 -5.5550 -0.25
C -3.2236 -0.1249 -5.5979 -1.09
C -1.9416 -0.0574 -5.0218 1.04
C -1.7958 -0.0256 -3.6363 -0.06
O -0.6240 -0.0140 -3.0031 0.09
C -0.7432 -0.0573 -5.8611 0.03
N 0.4827 -0.0010 -5.3962 -0.04
C 1.3135 -0.0277 -6.5042 0.17
C 2.7029 0.0030 -6.5835 -0.66
C 3.2757 -0.0357 -7.8402 -0.60
C 2.4887 -0.1039 -8.9996 -0.42
C 1.1077 -0.1368 -8.9358 -1.06
C 0.5408 -0.0982 -7.6678 0.43
N -0.7700 -0.1147 -7.2283 -0.05
H -4.3319 -0.9789 -0.7438 0.42
H -4.4625 0.8100 -0.7133 0.47
H -3.3396 -0.0459 0.3886 -0.14
H -5.0935 -0.1012 -2.7776 0.55
H -3.3571 -0.1617 -6.6700 0.39
H 0.0906 -0.0297 -3.6881 0.69
********
## Reply
C 3.1985 -0.3294 -1.7175 -1.05
H -1.2924 -5.4887 -0.2173 0.27
H -0.3673 -5.3630 1.3971 0.26
H -2.1195 -5.4281 1.2711 0.39
H -2.1364 -3.1854 0.0750 0.35
H -1.3311 -3.0987 1.6172 0.31
H 4.1389 -2.5517 1.2496 0.31
H 3.2999 -1.0738 1.1751 0.21